• Work order:
Next, type out the data below exactly.

• Given:
/*
(1)
A 2-piece molecular cluster, C3H8O overall in a non-equilibrium geometry, computed with ωB97M-V/def2-TZVPD.

## Properties
LUMO energy	0.93	eV
max |F|	0.0460	hartree/bohr
SMILES string	[H][H].CCC=O
energy	-5285.2816	eV
relative energy (zero: lowest compared OMol25 entry of this formula, charge and spin)	276.80	kJ/mol
HOMO	-9.780	eV
HOMO-LUMO gap	10.711	eV

Last columns: bonded neighbours and bond lengths (Å).
Element x y z (Å)
1 H -2.025 0.113 0.491  H2 0.752
2 H -1.894 -0.262 1.130  H1 0.752
3 C 0.622 0.623 -1.234  C4 1.521, H7 1.093, H8 1.101, H9 1.092
4 C 0.092 -0.393 -0.234  C3 1.521, C5 1.460, H10 1.094, H11 1.211
5 C 0.136 -0.216 1.215  C4 1.460, O6 1.217, H12 1.104
6 O -0.464 -0.916 2.009  C5 1.217
7 H 1.284 1.339 -0.740  C3 1.093
8 H -0.137 1.202 -1.782  C3 1.101
9 H 1.190 0.071 -1.986  C3 1.092
10 H -0.650 -1.089 -0.636  C4 1.094
11 H 0.987 -1.039 0.263  C4 1.211
12 H 0.860 0.566 1.504  C5 1.104

Atom charges from the natural (NBO) analysis, given in e for atoms 1 to 2:
1 H -0.078
2 H 0.054

***

(2)
An isolated molecule of C7H14 in a non-equilibrium geometry, computed with ωB97M-V/def2-TZVPD.

## Properties
LUMO energy	1.00	eV
max |F|	0.0439	hartree/bohr
SMILES string	C[C@@H]1[C@H](C)C1(C)C
energy	-7483.2515	eV
relative energy (zero: lowest compared OMol25 entry of this formula, charge and spin)	293.60	kJ/mol
HOMO	-7.607	eV
HOMO-LUMO gap	8.603	eV

Last columns: bonded neighbours and bond lengths (Å).
Element x y z (Å)
1 C -1.255 1.785 0.625  C2 1.510, H8 1.102, H9 1.093, H10 1.095
2 C -0.325 1.181 -0.400  C1 1.510, C3 1.502, C5 1.726, H11 1.110
3 C -0.514 -0.232 -0.874  C2 1.502, C4 1.527, C5 1.475, H12 1.090
4 C -1.606 -1.096 -0.247  C3 1.527, H13 1.098, H14 1.093, H15 1.094
5 C 0.748 -0.141 -0.117  C2 1.726, C3 1.475, C6 1.496, C7 1.534
6 C 0.949 -0.840 1.190  C5 1.496, H16 1.096, H17 1.097, H18 1.092
7 C 1.972 -0.105 -1.041  C5 1.534, H19 1.098, H20 1.098, H21 1.100
8 H -2.194 2.140 0.168  C1 1.102
9 H -0.777 2.674 1.044  C1 1.093
10 H -1.534 1.110 1.441  C1 1.095
11 H 0.732 1.477 -0.233  C2 1.110
12 H -0.403 -0.454 -1.935  C3 1.090
13 H -1.331 -2.151 -0.378  C4 1.098
14 H -2.575 -0.945 -0.728  C4 1.093
15 H -1.743 -0.937 0.827  C4 1.094
16 H 1.909 -0.576 1.650  C6 1.096
17 H 0.950 -1.922 1.006  C6 1.097
18 H 0.156 -0.610 1.905  C6 1.092
19 H 1.799 0.546 -1.909  C7 1.098
20 H 2.906 0.217 -0.562  C7 1.098
21 H 2.133 -1.121 -1.432  C7 1.100

Atom charges from the natural (NBO) analysis, given in e for atoms 1 to 2:
1 C -0.636
2 C -0.321
*/

• Solution:
(1)
A 2-piece molecular cluster, C3H8O overall in a non-equilibrium geometry, computed with ωB97M-V/def2-TZVPD.

## Properties
LUMO energy	0.93	eV
max |F|	0.0460	hartree/bohr
SMILES string	[H][H].CCC=O
energy	-5285.2816	eV
relative energy (zero: lowest compared OMol25 entry of this formula, charge and spin)	276.80	kJ/mol
HOMO	-9.780	eV
HOMO-LUMO gap	10.711	eV

Last columns: bonded neighbours and bond lengths (Å).
Element x y z (Å)
1 H -2.025 0.113 0.491  H2 0.752
2 H -1.894 -0.262 1.130  H1 0.752
3 C 0.622 0.623 -1.234  C4 1.521, H7 1.093, H8 1.101, H9 1.092
4 C 0.092 -0.393 -0.234  C3 1.521, C5 1.460, H10 1.094, H11 1.211
5 C 0.136 -0.216 1.215  C4 1.460, O6 1.217, H12 1.104
6 O -0.464 -0.916 2.009  C5 1.217
7 H 1.284 1.339 -0.740  C3 1.093
8 H -0.137 1.202 -1.782  C3 1.101
9 H 1.190 0.071 -1.986  C3 1.092
10 H -0.650 -1.089 -0.636  C4 1.094
11 H 0.987 -1.039 0.263  C4 1.211
12 H 0.860 0.566 1.504  C5 1.104

Atom charges from the natural (NBO) analysis, given in e for atoms 1 to 2:
1 H -0.078
2 H 0.054

***

(2)
An isolated molecule of C7H14 in a non-equilibrium geometry, computed with ωB97M-V/def2-TZVPD.

## Properties
LUMO energy	1.00	eV
max |F|	0.0439	hartree/bohr
SMILES string	C[C@@H]1[C@H](C)C1(C)C
energy	-7483.2515	eV
relative energy (zero: lowest compared OMol25 entry of this formula, charge and spin)	293.60	kJ/mol
HOMO	-7.607	eV
HOMO-LUMO gap	8.603	eV

Last columns: bonded neighbours and bond lengths (Å).
Element x y z (Å)
1 C -1.255 1.785 0.625  C2 1.510, H8 1.102, H9 1.093, H10 1.095
2 C -0.325 1.181 -0.400  C1 1.510, C3 1.502, C5 1.726, H11 1.110
3 C -0.514 -0.232 -0.874  C2 1.502, C4 1.527, C5 1.475, H12 1.090
4 C -1.606 -1.096 -0.247  C3 1.527, H13 1.098, H14 1.093, H15 1.094
5 C 0.748 -0.141 -0.117  C2 1.726, C3 1.475, C6 1.496, C7 1.534
6 C 0.949 -0.840 1.190  C5 1.496, H16 1.096, H17 1.097, H18 1.092
7 C 1.972 -0.105 -1.041  C5 1.534, H19 1.098, H20 1.098, H21 1.100
8 H -2.194 2.140 0.168  C1 1.102
9 H -0.777 2.674 1.044  C1 1.093
10 H -1.534 1.110 1.441  C1 1.095
11 H 0.732 1.477 -0.233  C2 1.110
12 H -0.403 -0.454 -1.935  C3 1.090
13 H -1.331 -2.151 -0.378  C4 1.098
14 H -2.575 -0.945 -0.728  C4 1.093
15 H -1.743 -0.937 0.827  C4 1.094
16 H 1.909 -0.576 1.650  C6 1.096
17 H 0.950 -1.922 1.006  C6 1.097
18 H 0.156 -0.610 1.905  C6 1.092
19 H 1.799 0.546 -1.909  C7 1.098
20 H 2.906 0.217 -0.562  C7 1.098
21 H 2.133 -1.121 -1.432  C7 1.100

Atom charges from the natural (NBO) analysis, given in e for atoms 1 to 2:
1 C -0.636
2 C -0.321